Remember Me When I'm Gone

A/N: With the finale almost here, I'm getting anxious. My Bellarke feels are all over the place and with all these drabbles coming up, I just had to write something myself.

Clarke felt like her whole world had come tumbling down. The cause one simple sentence. "W-what?" She stuttered taking a stronger hold of the small box containing the AI.

********
Entry from Alexandria via LeMat-Bulk: crystalline Rb3Zn2Sn5 at its relaxed geometry (GGA-PBE).

Computed properties:
space group = Ibam
VASP energy = -52.42 eV for the cell shown
energy of formation from the pure elements = -0.75 eV/f.u.
N(E_F) = 0.34 states/eV per atom

Cell lengths 7.617, 10.398, 10.398 Å; angles 65.38, 68.51, 68.51 degrees
Element x y z (fractional)
Sn: 0.127 0.501 0.246
Sn: 0.873 0.499 0.754
Zn: 0.836 0.302 0.027
Rb: 0.870 0.864 0.395
Rb: 0.750 0.000 0.000
Zn: 0.164 0.698 0.973
Rb: 0.370 0.395 0.864
Rb: 0.130 0.136 0.605
Rb: 0.250 0.000 0.000
Zn: 0.336 0.027 0.302
Sn: 0.993 0.757 0.757
Rb: 0.630 0.605 0.136
Sn: 0.493 0.757 0.757
Sn: 0.750 0.500 0.500
Zn: 0.664 0.973 0.698
Sn: 0.627 0.246 0.501
Sn: 0.250 0.500 0.500
Sn: 0.373 0.754 0.499
Sn: 0.007 0.243 0.243
Sn: 0.507 0.243 0.243

~~~~~

Entry 1:
Here is a geometry-optimized CrBiPd3 structure from Alexandria. Energies are from GGA-PBE.

The space group is Pm-3m (No. 221) and the conventional cell measures 4.655, 4.655 and 4.655 Å, with angles of 90.00, 90.00 and 90.00 degrees. Symmetry generates all atoms from Cr at (0.000, 0.000, 0.000), Bi at (0.500, 0.500, 0.500) and Pd at (0.000, 0.000, 0.500).

For the formation energy, the calculation gives 645.5 meV/atom. Its calculated total energy is -5.1710 eV/atom. The magnetic moment is 0.00 μB per cell. The polymorph energy (0 for the lowest one) comes out at 0.0000 eV/atom.



Entry 2:
Here is a geometry-optimized CrBi3Pd structure from Alexandria. Energies are from GGA-PBE.

The space group is Pm-3m (No. 221) and the conventional cell measures 5.117, 5.117 and 5.117 Å, with angles of 90.00, 90.00 and 90.00 degrees. Symmetry generates all atoms from Cr at (0.000, 0.000, 0.000), Bi at (0.000, 0.000, 0.500) and Pd at (0.500, 0.500, 0.500).

For the formation energy, the calculation gives 601.1 meV/atom. Its calculated total energy is -4.6907 eV/atom. The magnetic moment is 0.55 μB per cell. The polymorph energy (0 for the lowest one) comes out at 0.0000 eV/atom.



Entry 3:
Here is a geometry-optimized CrBi2Pd9 structure from Alexandria. Energies are from GGA-PBE.

The space group is P4/mmm (No. 123) and the conventional cell measures 4.065, 4.065 and 12.202 Å, with angles of 90.00, 90.00 and 90.00 degrees. Symmetry generates all atoms from Cr at (0.000, 0.000, 0.000), Bi at (0.000, 0.000, 0.323), Pd at (0.000, 0.500, 0.155), Pd at (0.000, 0.500, 0.500), Pd at (0.500, 0.500, 0.000) and Pd at (0.500, 0.500, 0.332).

For the formation energy, the calculation gives -185.4 meV/atom. Its calculated total energy is -5.5288 eV/atom. The magnetic moment is 3.75 μB per cell.



Entry 4:
Here is a geometry-optimized CrBiPd14 structure from Alexandria. Energies are from GGA-PBE.
********

"I said; how the hell should I know?" Bellamy confirmed his words, eyebrows knitting together. "Why is Octavia's name's origin that important all of a sudden?"

Clarke shook her head in denial, fear taking a hold of her soul, clinging to her insides with an iron grip. She'd lost almost everyone. She'd lost almost everyone to that damned City of Light. Her mom, Octavia, Raven, Monty, Jasper… Everyone she'd ever cared about since they landed on the ground are either dead or being controlled by ALIE.

She'd lost everyone but him. The guy who'd stood by her side, her own personal knight in shining armor. They were the only ones left. She just knew they'd both get their friends back, knew they could beat the AI.

But now it was too late.

"Clarke, what's wrong?" Bellamy walked towards her but she backed away, stumbling into the brick wall in the sacred hall in Polis.

"Back off!" Clarke screamed as Bellamy came closer, locking her between himself and the wall.

"Clarke, talk to me. We can beat her. Just give me the chip and I'm on my way!" Bellamy's voice was too calm, too programmed to belong to him.

She shook her head firmly, her body trembling slightly. Clarke saw the way his gaze changed from kindness to nothing more than an icy stare. "Clarke, give me the chip now!" His left hand shot up towards her throat, lifting her off the ground. "Bellamy, stop!" She wheezed out, taking a hold of his lower arm. "Give me the CHIP!" His voice echoed through the hall, his grip getting firmer. "I'd rather die than give it to her!" Clarke forced out. Seconds later she was placed on the ground again. Bellamy took a few steps back, his head in hands. "Clarke, please do something!" It was him again, her Bellamy.

He fell to the ground, body convulving in spastic movements. "Bellamy!" She knelt next to him, holding his head in her lap. "Bell, can you hear me?"

The shakes stopped seconds later, his eyes opening again staring right into her soul. "I know you better than you think, Clarke." ALIE's voice came. Bellamy pushed himself up, holding his head slightly to the right. "You care about him the most. He's the only thing keeping you fighting." Clarke stood back up, fists balled at her side. "If I take him away… You give up the AI."

Clarke's lips parted as she wanted to answer, tell the computer program she was in default, but she couldn't. She couldn't lose him too.

"Hurt him and I swear!" She exclaimed, tears burning in her eyes ready to fall. "I can never hurt him more than you already did. You left him to die, you neglected him, you ignored him, got him almost killed… He was right; people die when you're in charge, Clarke." Bellamy tilted his head to the left. "And somehow, he still stands by your every move. His feelings overshadowing his mind. He's a love-sick fool thinking you'd be the savior of the world."

Clarke's eyes casted to the ground, tears falling down her cheeks. "I guess, he isn't as important to you as you're to him."

A gunshot rang out, causing Clarke to look up again. "Bellamy!" She screamed as the handgun dropped to the ground. His eyes wavered for a minute, before glancing down at the blood soaking his blue tattered shirt. "Clarke?" He whispered meeting her gaze before falling to the ground.
"No!" She sobbed falling next to his side. "You're going to be okay!"
She put pressure on his wounds, her hands soaked in blood. "We b-both know th-that's a lie." His breath shaky, blood dripping out of the corners of his mouth. "I can't lose you." She whispered another sob escaping with the words. "You-you don't have a-a say in th-that." He smiled sadly, before a coughing fit took over, blood scattering over the floor in huge pools now.

"I love you!" She gasped as he took her small hand into his, making her stop trying.
"Brave Princess…" A ghost of a smile went over his lips, as he took her in one last time.

Clarke saw the light in his eyes die out, fear taking a grip of her in the pit of her stomach. "Bellamy?" Her voice sounded small in the huge room… "Bellamy!" The pounding on the door announced the arrival of ALIE's followers, but she didn't care.
How could the Princess function without the King at her side?

The End